French pear and almond tart and lost in the forest

A neighbour and I set out on a walk with the dogs early last Saturday afternoon. It was beautifully sunny and, as the sun sets around 5.30 in November, we had plenty of time. Or so I thought. We stumbled upon an area that I hadn’t been to for some time, but the landscape had changed completely as trees had been cut and new ones planted. About an hour and a half into our walk I suddenly realised that I had absolutely no idea where we were! I have ‘getting lost’ form, and a few years ago Luc spray painted a few key trees in the area as a guide. But the trees had been cut down; my landmarks had turned to sawdust!

Misplaced materials data =
┌──
A plane-wave DFT calculation with GGA-PBE was carried out for a relaxed structure of LaNi3B. Values from VASP.

Structure (Quantum ESPRESSO input):
```
&SYSTEM
  ibrav = 0, nat = 10, ntyp = 3
/
ATOMIC_SPECIES
La 138.91 La.upf
Ni 58.69 Ni.upf
B 10.81 B.upf
CELL_PARAMETERS angstrom
-0.9297 -5.4624 2.2871
-2.2529 2.7218 4.8425
-1.8804 -0.1278 -5.6904
ATOMIC_POSITIONS angstrom
La -2.5164 -2.9595 3.2126
La -2.5466 0.0911 -1.7734
Ni 0.0000 0.0000 0.0000
Ni -1.8452 -1.8643 -3.9413
Ni -0.9649 -3.7259 0.5380
Ni -1.4051 -2.7951 -1.7017
Ni -3.0316 -2.4289 0.1140
Ni -2.0315 -0.4395 1.3252
B -3.9422 -1.1106 1.3529
B -1.1209 -1.7578 0.0863
```

Calculated values
* DFT formation energy: -213 kJ/mol of formula units
* total energy: -62.33 eV/cell
* symmetry: No. 74

* * * * *

[1]
## BaMg6Al (PBE-GGA)

Data for a geometry-optimized BaMg6Al structure.

Output
Polymorph energy (0 for the lowest one) ... 0.000 eV per atom
ΔE_f ... 0.062 eV per atom

Structure (POSCAR):
```
BaMg6Al
1.0
0.639 7.714 0.496
-2.177 -4.723 -5.754
-4.723 0.292 1.547
Ba Mg Al
1 6 1
Cartesian
-3.708 -0.911 -3.138 Ba
-2.583 1.719 -0.198 Mg
-3.319 3.150 -2.715 Mg
-0.581 -0.148 -1.745 Mg
-1.359 1.364 -4.405 Mg
-0.190 4.052 -1.344 Mg
-1.828 -3.185 -4.981 Mg
-2.030 6.504 0.588 Al
```

[2]
## Mg2Mn3NiS8 (PBE-GGA)

Data for a geometry-optimized Mg2Mn3NiS8 structure.

Output
ΔE_f ... -0.978 eV per atom
Energy with MP2020 corrections ... -5.946 eV/atom

Structure (POSCAR):
```
Mg2Mn3NiS8
1.0
-7.092 0.753 -0.986
-3.690 -4.984 -3.660
-4.610 -4.337 3.441
Mg Mn Ni S
2 3 1 8
Cartesian
-13.495 -7.512 -1.056 Mg
-1.897 -1.056 -0.149 Mg
-10.001 -6.453 1.118 Mn
-11.241 -3.907 -1.096 Mn
-9.542 -6.777 -2.432 Mn
-7.696 -4.284 -0.603 Ni
-11.371 -6.330 -0.890 S
-6.120 -4.190 1.198 S
-5.714 -4.475 -1.934 S
-7.216 -1.943 -0.756 S
-9.677 -4.093 0.730 S
-8.175 -6.625 -0.449 S
-4.020 -2.238 -0.315 S
-9.271 -4.378 -2.403 S
```

[3]
## NbCr2 (PBE-GGA)

Data for a geometry-optimized NbCr2 structure.

Output
ΔE_f ... -0.020 eV per atom

Structure (POSCAR):
```
NbCr2
1.0
2.462 -4.264 0.000
2.462 4.264 0.000
0.000 0.000 16.085
Nb Cr
8 16
Cartesian
0.000 0.000 6.520 Nb
0.000 0.000 9.565 Nb
0.000 0.000 14.563 Nb
0.000 0.000 1.522 Nb
2.462 1.421 10.559 Nb
2.462 -1.421 5.526 Nb
2.462 -1.421 2.517 Nb
2.462 1.421 13.569 Nb
2.462 1.421 6.055 Cr
2.462 -1.421 10.030 Cr
2.462 -1.421 14.098 Cr
2.462 1.421 1.987 Cr
2.462 0.000 8.043 Cr
1.231 -2.132 8.043 Cr
1.231 2.132 8.043 Cr
2.462 0.000 0.000 Cr
1.231 -2.132 0.000 Cr
1.231 2.132 0.000 Cr
2.462 2.867 4.021 Cr
1.210 0.699 4.021 Cr
3.713 0.699 4.021 Cr
2.462 -2.867 12.064 Cr
3.713 -0.699 12.064 Cr
1.210 -0.699 12.064 Cr
```
└──
Here the entry continues =

Deeper and deeper into the forest
I called Luc, but he was in the middle of a football match — the urgency with he told me this made me wonder whether he’d been called in to replace the centre forward — and said I’d have to wait until half time. This gave us ample opportunity to cast ourselves even further adrift. We appealed to the dogs for their take on the quickest way home (I’ve often abandoned the reins on horseback as horses have built-in GPSs and are excellent at finding their way back to the stable). Alas, the dogs were having so much fun I suspect they led us astray further to keep the party going.

Cranes, helicopters and cannibalism
With the sun setting at an alarming rate, and the wintering cranes returning to their digs at a nearby lake, my thoughts started turning to rescue helicopters, hungry wild boar, and cannibalism. By the time it was actually dark, to our relief, we hit a tarmac path, although we had no idea where it led. Sometime later we spotted flashing car lights in the distance, tapping out what looked like a message in flashlight morse code, possibly ‘French team replacement saves damsels in distress during half time’? We were haphazardly bundled into the back seat of the car as he had ‘a match to get back to’.

Get lost app
I’ve since installed an app on my ‘phone, which shows me how to retrace my steps if I get lost. I’m already wondering how long I’m going to be amused by its bizarre and random bilingual bossiness. Every so often it springs to life and says: ‘You ‘ave marché quatre kilomètres in fifty-deux minutes’, ‘Allo, ‘Allo-style. I’m not sure that getting lost wasn’t preferable. One thing’s for sure: The dogs were ecstatic about their prolonged outing; we heard Java’s friend throwing himself at the door at 6am the next morning for a replay.
Recipe for pear and almond tart (serves 4-6)
Puff pastry:
- 100g flour
- 50g butter, diced
- 1 egg
- 2 tablespoons water
- Pinch of salt
- 1 tin of pears
- 40g sugar
- 50g ground almonds
- 100ml cream
- 4 tablespoons fruit alcohol (I used calvados)
To make the puff pastry:
Mix the ingredients together in a mixer, wrap in clingfilm and refrigerate for at least 3 hours, or even overnight. Roll the pastry out (remember to sprinkle flour on your work surface), and fold and roll several times, remember to turn the pastry 90° each time. Wrap in clingfilm and refrigerate again. To use the pastry, just roll out again according to the shape of your pastry case.
To make the filling:
Arrange the pears in the pastry case, then mix the other ingredients together and pour over the pears. Bake in a very hot, preheated oven (220°C) for 30 minutes. May be served hot, lukewarm, or cold.
Oh goodness! I need to find an app like that~ sounds like a life saver! You are adorable even when fearing boars and cannibals :0).
The Healthy Epicurean
It’s really great (if you remember to switch it on)! Thank you!🙏